CORDIS - Forschungsergebnisse der EU

A breakthrough in biocide technology that combines the potency of two different antimicrobials to obtain unparalleled efficacy.

Periodic Reporting for period 1 - SymbiCoat (A breakthrough in biocide technology that combines the potency of two different antimicrobials to obtain unparalleled efficacy.)

Berichtszeitraum: 2016-06-01 bis 2016-09-30

"Exigence’s product opens “blue ocean” opportunities in the food processing market, where no previous generation of antimicrobial coatings has the technical capability to address the major sanitation problems.
Problem #1 : Food contamination. Food recalls is a public health issue, but also a significant economic issue. The average cost of a recall to a food company is €10M in direct costs, in addition to brand damage and lost sales . In the EU, food recalls are published through the Rapid Alert System for Food and Feed (RASFF). In 2014, the RASFF transmitted a total of 3,157 food recall notices and public health warnings related to the food industry. Compared to 2013, the RASFF notices figure has increased by more than 25%.
Problem #2 : Low biocide performance. Thanks to their practicality, the food industry widely uses liquid biocides as disinfectants and food preservatives. Nevertheless, liquid based disinfection provides minimal residual efficacy: as soon as lengthy shut down disinfection is complete, the environment is subject to recontamination again. Bacteria such as Escherichia coli, Salmonella spp., Listeria spp., Campylobacter spp. and several others can produce biofilms. Over time, the film becomes enhanced and may contain different species of bacteria, yielding a constant source of contamination.
Problem #3 : Toxicity and safety concern. Leaching of biocides is a health and environmental issue. Most antimicrobial technologies have to physically migrate to the microbial cell in order to be effective. Thus, the active ingredient leaches into groundwater, heavily affecting the health of humans and wildlife . Furthermore many biocides used to disinfect surfaces are irritants and sensitizers acting on the skin, eyes and mucous membranes . They can lead to e.g. allergic contact dermatitis and asthma . Especially occupational users of biocides might also be at risk of accidents as a severe incident with chlorine gas in a poultry farm exemplarily demonstrated .
Problem #4 : Poor large-scale production sustainability. When the active ingredients migrates out of the product they have been artificially introduced into, the supply of the active ingredient available in the original product declines, and with it, the antimicrobial activity of the substrate or material. In many cases this migrations, and the associated decline of antimicrobial activity, can happen very quickly in the life cycle of the biocide. As a result, repeated product applications are required leading to high costs spent over sanitation procedures by end-users.
Problem #5 : Market gap. The development of resistances against biocides causes concern, because the inactivation of the biocide usually results in unexpected and hard to manage microbial contamination . One reason for the occurrence of resistant microbial strains is the frequent application of biocides at concentrations that are too low to kill all microorganisms. As bacteria become resistant, following the stress imposed through antibiotic selection, they may evolve and undergo genetic changes which make these organisms more difficult to eliminate. This may in turn increase the likelihood of transmisison through the food chain. Antimicrobial resistance (AMR) causes some 25,000 deaths and over €1.5B in healthcare expenses and productivity losses in Europe alone . Some existing biocides (Triclosan, OBPA), proven to induce antimicrobial resistance (AMR) to antibiotics, have been recently regulated out of the European market by the European Chemicals Agency. Other traditional biocides also affected by AMR (using silver, copper, QACs and chitosan) turn out to be everyday less effective and counterproductive. It exists a market need for new chemistries to fill the void.
During the Phase 1 feasibility assessment, Exigence accomplished a full analysis of the technical and business potential of the SymbCoat’s antimicrobial coating technology. Throughout the duration of the project, Exigence expanded their knowledge of the biocide and food processing industry, coating capabilities and in particular the European market. As conclusion, the feasibility assessment showed that SymbiCoat has a viable commercial application with a large market that can evolve and cover a broad range of simultaneous applications once Exigence’s coating system is validated and commercialized. This is proven by the market research results and detailed customer analysis. Furthermore the
technology has already gained traction with several customers who have committed to adopting it once it becomes commercially available showing strong end user demand. Considering the overall results of the Phase 1 assessment, it would be worthy to follow up with the implementation of the industrialisation and commercialisation plan. This is fully
aligned with Exigence’s strategy to validate and maximize SymbiCoat potential for the uses that are more commercially favorable (e.g. food processing applications). Following these carefully assessed considerations, Exigence evaluated that the SME Instrument Phase 2 funding could provide the correct amount of funding and support to allow the
implementation activities to be performed in the most suitable conditions. This will advance Exigence’s innovative technology in market approaching, penetrating and positioning. Exigence will therefore be applying for the Phase 2 funding.
Following the accomplished work listed above, a key point of the feasibility study has been to identify the most important tasks for delivering a minimum viable product (MVP) which would fulfil SymbiCoat’s product specifications for the specific use-case scenario. The biocide coating polymer will be produced, tested and optimized under real manufacturing conditions in order to achieve a marketable product. The previous development, carried out in Exigence’s laboratory, has been focused on the characterization of microbial characteristics for internal lab-grade efficacy, toxicology and recharge testing. The activities of the Exigence’s project within the feasibility study covered the assessment of the partner on-site manufacturing conditions, including the characterization of existing microbial populations and the specification of the end-users coating requirements for product integration. The MVP specifications have been assessed not only on the basis of users’ requirements, and the company capabilities to pursue the best route for the go-to market application, but also on the evaluation of costs related to performing incremental manufacturing process as a successful industrialization plan would require. In fact, some types of antimicrobial surface functionalization require multiple complex steps in the treatment process, which add undue time and cost to the final product. This is why Exigence during the feasibility study has focused on creating an attainable product roadmap for a rapid and broadly applicable coating process that is effective, durable, stable, and only requires 3-4 minutes of processing.

-- What comes next are records of crystals, not part of the piece --
+++
Entry 1:
A relaxed structure of MgTe4Mo4Se2S2, computed with PBE.

Cell lengths 3.4000, 3.4004, 45.1377 Å; angles 90.00, 90.00, 120.00 degrees
Last column: nearest neighbours and their distance in Å.
Atoms (fractional coordinates):
Se1 0.6667 0.3334 0.0574  3 Mo 2.56
Se2 0.6668 0.3335 0.1304  3 Mo 2.56
S1 0.3334 0.6669 0.3093  3 Mo 2.48
S2 0.3334 0.6667 0.2426  3 Mo 2.46
Mo1 0.6667 0.3334 0.2755  6 S 2.46-2.48
Mo2 0.3334 0.6668 0.0939  6 Se 2.56
Mo3 0.6667 0.3334 0.6584  6 Te 2.71
Mo4 0.3332 0.6663 0.4744  6 Te 2.71-2.73
Te1 0.6665 0.3330 0.5158  3 Mo 2.71
Te2 0.3333 0.6667 0.6169  3 Mo 2.71
Te3 0.6665 0.3329 0.4325  3 Mo 2.73
Te4 0.3334 0.6668 0.6999  3 Mo 2.71
Mg1 0.0000 0.0001 0.3663  3 S 3.24, 6 Mg 3.40, 3 Te 3.58

Properties
ΔE to the lowest computed polymorph in eV per atom: 0.0088
Energy relative to the elements in eV/atom: -0.477
Energy in eV/cell: -78.02



Entry 2:
A relaxed structure of MgTe4Mo4Se2S2, computed with PBE.

Cell lengths 3.4159, 3.4159, 42.4258 Å; angles 90.15, 89.85, 120.00 degrees
Last column: nearest neighbours and their distance in Å.
Atoms (fractional coordinates):
S1 0.3316 0.6684 0.3127  3 Mo 2.48
S2 0.3327 0.6673 0.2422  3 Mo 2.46-2.47
Mo1 0.6668 0.3333 0.6575  6 Te 2.71-2.72
Mo2 0.6655 0.3345 0.2771  6 S 2.46-2.48
Mo3 0.3335 0.6665 0.4733  6 Se 2.56-2.57
Mo4 0.3333 0.6666 0.0939  6 Te 2.72
Se1 0.6660 0.3340 0.5119  3 Mo 2.56
Se2 0.6677 0.3322 0.4344  3 Mo 2.57
Te1 0.6656 0.3343 0.1380  3 Mo 2.72
Te2 0.3323 0.6678 0.7015  3 Mo 2.71-2.72
Te3 0.6676 0.3322 0.0499  3 Mo 2.72
Te4 0.3344 0.6657 0.6136  3 Mo 2.71
Mg1 0.6635 0.3366 0.3655  1 Se 2.93, 3 S 2.98-2.99

Properties
ΔE to the lowest computed polymorph in eV per atom: 0.0000
Energy relative to the elements in eV/atom: -0.486
Energy in eV/cell: -78.13



Entry 3:
A relaxed structure of MgTe4Mo4Se2S2, computed with PBE.

Cell lengths 3.3906, 3.3906, 38.6474 Å; angles 90.00, 90.00, 120.00 degrees
Last column: nearest neighbours and their distance in Å.
Atoms (fractional coordinates):
S1 0.6666 0.3333 0.4308  3 Mo 2.47
S2 0.6666 0.3333 0.5086  3 Mo 2.47
Mo1 0.6667 0.3334 0.6576  6 Te 2.71
Mo2 0.6667 0.3334 0.2818  6 Te 2.71
Mo3 0.3333 0.6666 0.4697  6 S 2.47
Mo4 0.3333 0.6666 0.0938  6 Se 2.56
Te1 0.3334 0.6667 0.2333  3 Mo 2.71
Te2 0.3334 0.6667 0.7060  3 Mo 2.71
Te3 0.3334 0.6667 0.3304  3 Mo 2.71
Te4 0.3334 0.6667 0.6090  3 Mo 2.71
Mg1 0.3380 0.6852 0.8818  6 Mg 3.39
Se1 0.6666 0.3333 0.1366  3 Mo 2.56
Se2 0.6666 0.3333 0.0512  3 Mo 2.56

Properties
ΔE to the lowest computed polymorph in eV per atom: 0.0346
Energy relative to the elements in eV/atom: -0.451
Energy in eV/cell: -77.68



Entry 4:
A relaxed structure of MgTe4Mo4Se2S2, computed with PBE.

Cell lengths 3.3902, 3.3901, 38.5039 Å; angles 90.00, 90.00, 120.00 degrees
Last column: nearest neighbours and their distance in Å.
Atoms (fractional coordinates):
S1 0.3334 0.6667 0.2427  3 Mo 2.47
S2 0.3334 0.6667 0.3208  3 Mo 2.47
Mo1 0.6667 0.3334 0.2818  6 S 2.47
Mo2 0.6667 0.3333 0.6576  6 Te 2.71
+++

Value Proposition: SymbiCoat solves the main issues associated with biocide industry for food applications, such as performance (efficacy/time), duration and sustainability and bringing benefits to the the entire food supply chain.
- Value for equipment manufacturers (primary clients): Easy and universal product integration. Symbicoat new coating technology allows simple spray application of the active agent on multiple surfaces in the food processing facilities, including food contact surfaces, walls, floors, and especially hard-to reach areas that harbor pathogens. SymbiCoat’s versatility opens new possibilities in engineering controls for industrial food processing equipment manufacturers. They can provide a strong solution for hygiene & prevention of cross contamination, succeeding in the attempt to meet customers’ requirments on food safety, while avoiding the burden to design and produce better solutions for clean-in-place procedures.
- Value for food processors (end-users): Unparalleled efficacy. SymbiCoat demonstrates unparalleled kill rate of any germ, virus and fungus at a contact time of less than 15 minutes (99.9999% vs 99,9% in 1H of Silver, leading competitive biocide), and achieving higher efficacy with lower levels of its active ingredient (10 X increase in kill kinetics with 10X less active ingredient loading required compared to Silver). Furthermore, the new coating provides durable (>100 life cycles) and easily renewable protection against a broad spectrum of microbes. Applied on the food processing equipment, SymbiCoat could make the difference between a food recall or no recall at all for the food company. This will save tens of millions of dollars in direct costs to replace spoiled food, but much more improves brand reputation and consumer confidence.
- Value for the distributors: Easly scalable solution. Distributor can quote any project from a limited coating purchase in a single small food processing company to a large industrial food manufacturing plant, meaning a higher market share and additional revenues. Any order can be scaled up on demand even long after the initial coating application, without having to discard the initial components. Full scalability with only one product means distributors do not have to store a large number of different components, which is less capital tied in the inventory.
- Value for the environment: No leaching toxic profile. SymbiCoat’s polymer attracts and arrest microbes on the treated surface, forcing contact with its bound active ingredient. Thus, no antimicrobial substance leaches out, avoiding any kind of environmental contamination and hazard. Moreover the coating product breaks down to salt & water and won’t accumulate in the surrounding media/environment.
- Value for the society: No AMR alarm. Unlike every non-oxidizing form of antimicrobial technology which can be adhered to a surface, such as silver, organic compounds and QACs, SymbiCoat does not induce resistance in bacteria. This will allow a great alleviation on societal resources spent to address the health and economic burden of AMR. Therefore, SymbiCoat has the potential to fundamentally change the sanitation paradigm in food production and processing by providing an effective and non-alarming treatment for a significant unmet market need.